[To do]
Could you write out everything further below without additions?

[File]
1.
Formula: C53H59BaClF3NO6S3Si4Te
Source: the OMol25 dataset
Level of theory: ωB97M-V/def2-TZVPD

The geometry in XYZ format:
```
132
Properties=species:S:1:pos:R:3:mulliken_charge:R:1
H 2.3781 -7.0529 -3.6149 0.360
H -2.3360 8.2433 1.9130 0.375
F -3.0900 1.1689 0.8236 -0.327
H 1.5978 -6.6141 5.2328 0.379
H -1.1702 -2.1242 -4.0343 0.429
F -2.3361 2.6290 -0.6156 -0.203
C 2.9705 -2.4097 -2.2083 0.847
S 2.2569 -3.0613 -0.7314 0.065
H -2.9194 4.7399 4.4693 0.241
H 2.2885 6.2323 -0.0719 0.005
H 3.3029 7.8219 2.9021 0.363
C -1.0372 -3.6002 2.9889 -1.390
C -3.2697 -2.9077 -0.6850 -0.262
H -7.9303 -3.9770 -0.7237 0.340
C -0.8036 -0.9026 -5.7425 -0.588
H 0.1274 7.3261 -0.1226 0.278
C -5.3237 -1.8580 -0.0754 -1.003
H 5.7484 -0.8325 -3.2625 0.373
C 4.4326 -0.2075 -5.5541 -1.685
C -2.4298 1.2603 -0.4387 -0.493
H 2.5671 -7.4738 3.0992 0.426
C -0.3014 6.0641 5.6864 -1.036
C 1.3945 -6.2026 1.8754 -0.987
C 1.2641 4.7305 -2.9076 -0.313
C 1.1136 3.6098 -2.1042 -0.174
C 2.3062 -5.3205 -2.3937 -1.029
C 2.2756 7.4397 2.9217 -1.060
H -0.3749 5.7928 -0.8526 -0.075
C -0.1064 -4.6702 3.0198 1.032
C 3.9331 -1.0251 -4.3937 0.975
C 1.2643 -6.2099 4.2853 -0.660
H 1.6067 3.5529 5.7154 0.236
C 0.0631 0.9329 -4.3339 0.635
C 1.8073 -6.7027 3.0731 -0.954
C -3.9425 -1.8015 -0.1875 -0.029
C 0.2073 -8.3695 -2.6847 -1.019
H 0.1403 2.9806 6.5427 0.362
H -1.5722 -6.5681 0.2382 0.513
C -1.6459 7.5838 2.4522 -1.101
C -0.0436 -4.6315 0.5589 -1.282
H -2.4316 -8.6971 -0.5957 0.423
H 1.1717 5.4215 -4.9405 0.367
C -0.9732 -3.6335 0.5903 1.803
H -2.0985 7.3352 3.4151 0.188
H 3.2652 4.8175 4.4728 0.211
C 3.4825 4.7039 3.4063 -0.930
H 3.9325 6.0206 0.5721 0.483
H 2.9188 4.6042 0.2133 0.120
H -1.1277 -1.5383 -6.5553 0.426
Si -1.3406 6.0344 1.4216 0.427
C -1.0702 -7.0736 -0.5766 -0.893
C 2.6313 -1.5210 -4.3983 -0.721
O 1.0144 -2.1872 -0.5866 -0.010
H 4.4983 5.0697 3.2182 0.356
C 0.5725 -5.2099 -0.6943 0.357
H 0.7092 -8.8632 -3.5095 0.428
H -3.4200 -0.8908 0.0788 0.116
S -1.5086 -2.8037 -0.9157 1.895
H -2.8983 4.2834 0.6185 -0.101
H 1.2628 3.6578 -1.0289 -0.052
F -3.5417 0.9579 -1.3049 -0.351
H -0.0770 -4.8141 5.1707 0.438
Si 2.2502 5.6385 2.3526 0.258
H -3.4752 4.9972 2.1176 0.212
H 1.9676 -1.3172 -5.2320 0.326
O -1.1794 -3.6986 -2.0689 -0.861
C -0.8976 -8.9224 -2.1161 -0.542
C 2.1439 -2.2202 -3.3090 -0.136
C -1.4542 -3.0883 1.8062 -1.233
C -6.0300 -2.9916 -0.4667 1.365
C -2.2405 3.9346 4.7670 -1.084
C 4.7453 -1.2441 -3.2811 -0.782
H -7.9812 -2.2273 -0.9594 0.319
H -7.8627 -2.8876 0.6651 0.320
C 1.0601 4.5776 -4.2689 -0.917
H 3.8137 -0.3629 -6.4373 0.359
C 1.6354 -4.6418 -1.3435 1.122
H -0.6674 5.8660 6.7006 0.347
H 1.8282 -6.5822 0.9593 0.426
Si -0.4482 4.4819 4.6653 0.455
Te 0.5213 2.3448 1.6714 -0.903
C 0.0813 -6.4711 -1.1550 1.153
H -2.4923 3.6311 5.7894 0.377
H 0.6345 2.2852 4.9725 0.175
C 0.6941 3.3410 -4.7677 -0.937
H -5.8517 -0.9858 0.2934 0.474
H -2.1382 -2.2483 1.7856 0.391
Ba 0.2638 -0.0572 -0.8455 2.674
C 0.7229 -7.1296 -2.2221 0.881
C 4.2686 -1.9220 -2.1696 -0.989
H -5.8693 -4.9629 -1.3018 0.267
H 4.3942 0.8572 -5.3123 0.277
C -0.8081 -1.1693 -4.4052 -0.880
H 1.6657 8.0706 2.2675 0.247
C -0.7132 6.6351 -0.2431 -0.822
C -5.3260 -4.0811 -0.9786 -0.983
H 0.5083 3.2089 -5.8258 0.376
H 3.1666 -4.8622 -2.8614 0.624
C -7.5325 -3.0265 -0.3663 -1.443
C -1.5477 -8.2601 -1.0426 -0.990
O 1.6755 -0.7851 1.8632 -0.549
Cl 2.9771 -0.4147 1.3196 1.570
S -0.1939 0.6630 -6.0597 -0.432
H -1.3934 -3.1796 3.9215 0.370
H -3.6613 5.8945 0.5941 0.348
C 0.3356 -5.2160 4.2525 -1.019
H 5.4672 -0.4557 -5.7991 0.427
H -2.4138 3.0893 4.0944 0.271
Si 0.1853 4.6062 2.4345 0.231
H 4.8616 -2.0238 -1.2691 0.429
O 3.8441 -1.5852 1.2626 -0.701
C 0.5817 3.2027 5.5640 -0.986
N 0.7818 2.4100 -2.5769 0.965
C 0.4087 -5.1780 1.8079 1.007
C 2.9095 5.6288 0.5968 -0.673
H -0.8803 6.8895 5.2676 0.272
H 0.7388 6.3952 5.7593 0.241
H 1.1167 -2.5691 -3.2970 0.518
H -3.3909 -4.8741 -1.5222 0.520
O 3.6193 0.6135 2.0667 -0.597
C 0.5385 2.2657 -3.8898 -0.390
H -1.2878 -9.8626 -2.4856 0.393

[Completed]
1.
Formula: C53H59BaClF3NO6S3Si4Te
Source: the OMol25 dataset
Level of theory: ωB97M-V/def2-TZVPD

The geometry in XYZ format:
```
132
Properties=species:S:1:pos:R:3:mulliken_charge:R:1
H 2.3781 -7.0529 -3.6149 0.360
H -2.3360 8.2433 1.9130 0.375
F -3.0900 1.1689 0.8236 -0.327
H 1.5978 -6.6141 5.2328 0.379
H -1.1702 -2.1242 -4.0343 0.429
F -2.3361 2.6290 -0.6156 -0.203
C 2.9705 -2.4097 -2.2083 0.847
S 2.2569 -3.0613 -0.7314 0.065
H -2.9194 4.7399 4.4693 0.241
H 2.2885 6.2323 -0.0719 0.005
H 3.3029 7.8219 2.9021 0.363
C -1.0372 -3.6002 2.9889 -1.390
C -3.2697 -2.9077 -0.6850 -0.262
H -7.9303 -3.9770 -0.7237 0.340
C -0.8036 -0.9026 -5.7425 -0.588
H 0.1274 7.3261 -0.1226 0.278
C -5.3237 -1.8580 -0.0754 -1.003
H 5.7484 -0.8325 -3.2625 0.373
C 4.4326 -0.2075 -5.5541 -1.685
C -2.4298 1.2603 -0.4387 -0.493
H 2.5671 -7.4738 3.0992 0.426
C -0.3014 6.0641 5.6864 -1.036
C 1.3945 -6.2026 1.8754 -0.987
C 1.2641 4.7305 -2.9076 -0.313
C 1.1136 3.6098 -2.1042 -0.174
C 2.3062 -5.3205 -2.3937 -1.029
C 2.2756 7.4397 2.9217 -1.060
H -0.3749 5.7928 -0.8526 -0.075
C -0.1064 -4.6702 3.0198 1.032
C 3.9331 -1.0251 -4.3937 0.975
C 1.2643 -6.2099 4.2853 -0.660
H 1.6067 3.5529 5.7154 0.236
C 0.0631 0.9329 -4.3339 0.635
C 1.8073 -6.7027 3.0731 -0.954
C -3.9425 -1.8015 -0.1875 -0.029
C 0.2073 -8.3695 -2.6847 -1.019
H 0.1403 2.9806 6.5427 0.362
H -1.5722 -6.5681 0.2382 0.513
C -1.6459 7.5838 2.4522 -1.101
C -0.0436 -4.6315 0.5589 -1.282
H -2.4316 -8.6971 -0.5957 0.423
H 1.1717 5.4215 -4.9405 0.367
C -0.9732 -3.6335 0.5903 1.803
H -2.0985 7.3352 3.4151 0.188
H 3.2652 4.8175 4.4728 0.211
C 3.4825 4.7039 3.4063 -0.930
H 3.9325 6.0206 0.5721 0.483
H 2.9188 4.6042 0.2133 0.120
H -1.1277 -1.5383 -6.5553 0.426
Si -1.3406 6.0344 1.4216 0.427
C -1.0702 -7.0736 -0.5766 -0.893
C 2.6313 -1.5210 -4.3983 -0.721
O 1.0144 -2.1872 -0.5866 -0.010
H 4.4983 5.0697 3.2182 0.356
C 0.5725 -5.2099 -0.6943 0.357
H 0.7092 -8.8632 -3.5095 0.428
H -3.4200 -0.8908 0.0788 0.116
S -1.5086 -2.8037 -0.9157 1.895
H -2.8983 4.2834 0.6185 -0.101
H 1.2628 3.6578 -1.0289 -0.052
F -3.5417 0.9579 -1.3049 -0.351
H -0.0770 -4.8141 5.1707 0.438
Si 2.2502 5.6385 2.3526 0.258
H -3.4752 4.9972 2.1176 0.212
H 1.9676 -1.3172 -5.2320 0.326
O -1.1794 -3.6986 -2.0689 -0.861
C -0.8976 -8.9224 -2.1161 -0.542
C 2.1439 -2.2202 -3.3090 -0.136
C -1.4542 -3.0883 1.8062 -1.233
C -6.0300 -2.9916 -0.4667 1.365
C -2.2405 3.9346 4.7670 -1.084
C 4.7453 -1.2441 -3.2811 -0.782
H -7.9812 -2.2273 -0.9594 0.319
H -7.8627 -2.8876 0.6651 0.320
C 1.0601 4.5776 -4.2689 -0.917
H 3.8137 -0.3629 -6.4373 0.359
C 1.6354 -4.6418 -1.3435 1.122
H -0.6674 5.8660 6.7006 0.347
H 1.8282 -6.5822 0.9593 0.426
Si -0.4482 4.4819 4.6653 0.455
Te 0.5213 2.3448 1.6714 -0.903
C 0.0813 -6.4711 -1.1550 1.153
H -2.4923 3.6311 5.7894 0.377
H 0.6345 2.2852 4.9725 0.175
C 0.6941 3.3410 -4.7677 -0.937
H -5.8517 -0.9858 0.2934 0.474
H -2.1382 -2.2483 1.7856 0.391
Ba 0.2638 -0.0572 -0.8455 2.674
C 0.7229 -7.1296 -2.2221 0.881
C 4.2686 -1.9220 -2.1696 -0.989
H -5.8693 -4.9629 -1.3018 0.267
H 4.3942 0.8572 -5.3123 0.277
C -0.8081 -1.1693 -4.4052 -0.880
H 1.6657 8.0706 2.2675 0.247
C -0.7132 6.6351 -0.2431 -0.822
C -5.3260 -4.0811 -0.9786 -0.983
H 0.5083 3.2089 -5.8258 0.376
H 3.1666 -4.8622 -2.8614 0.624
C -7.5325 -3.0265 -0.3663 -1.443
C -1.5477 -8.2601 -1.0426 -0.990
O 1.6755 -0.7851 1.8632 -0.549
Cl 2.9771 -0.4147 1.3196 1.570
S -0.1939 0.6630 -6.0597 -0.432
H -1.3934 -3.1796 3.9215 0.370
H -3.6613 5.8945 0.5941 0.348
C 0.3356 -5.2160 4.2525 -1.019
H 5.4672 -0.4557 -5.7991 0.427
H -2.4138 3.0893 4.0944 0.271
Si 0.1853 4.6062 2.4345 0.231
H 4.8616 -2.0238 -1.2691 0.429
O 3.8441 -1.5852 1.2626 -0.701
C 0.5817 3.2027 5.5640 -0.986
N 0.7818 2.4100 -2.5769 0.965
C 0.4087 -5.1780 1.8079 1.007
C 2.9095 5.6288 0.5968 -0.673
H -0.8803 6.8895 5.2676 0.272
H 0.7388 6.3952 5.7593 0.241
H 1.1167 -2.5691 -3.2970 0.518
H -3.3909 -4.8741 -1.5222 0.520
O 3.6193 0.6135 2.0667 -0.597
C 0.5385 2.2657 -3.8898 -0.390
H -1.2878 -9.8626 -2.4856 0.393